Hot Today

Wise Bread articles that are hot today.

How to Travel Across the U.S. on a Budget

You don't need to be a millionaire to see the best sights America has to offer. In fact, you can travel across the U.S. on budget and still have a blast.

How to Delegate at Work and at Home in 4 Easy Steps

Delegating may be the busy person's best productivity tool. Learn how to get the results you want while strengthening relationships.

Guide to Buying a Used Car Without Going Crazy

Trying to find a safe and reliable used car made me stressed out for weeks. Here's everything I learned, so hopefully your car buying process will be easier.

5 Budget Destinations Where You Can Learn to Scuba Dive

Scuba diving can be an expensive hobby, but in these five destinations, you can explore the depths of the sea without busting your budget.

How to Be Successful as a First-Time Manager

You climbed the corporate ladder. You're the boss now. Are you prepared to do the job well?

Cut Your Electric Bill With Solar Panels

Solar panels can reduce your electricity bill, increase your home's value, and reduce your carbon cost to the environment. Here's how to get started.

4 Surprising Reasons to Always Use Your Credit Card

Did you know that your credit card has built in protection for your purchases?

The entry is interrupted by data records:
-- begin --
Entry from Alexandria via LeMat-Bulk: a PBEsol-optimized structure of CeCo2As2 (meta-GGA SCAN).

The space group is I4/mmm (No. 139) and the conventional cell measures 3.9647, 3.9647 and 9.9812 Å, with angles of 90.00, 90.00 and 90.00 degrees. The asymmetric unit holds Ce at (0.0000, 0.0000, 0.0000), Co at (0.0000, 0.5000, 0.2500) and As at (0.0000, 0.0000, 0.3684).

As for the density of states at the Fermi level: 0.618 states/eV per atom. The formation enthalpy at 0 K is -370 kJ/mol of formula units.

***

Entry from Alexandria via LeMat-Bulk: a PBEsol-optimized structure of CeNi2As2 (meta-GGA SCAN).

The space group is P4/nmm (No. 129, origin choice 2) and the conventional cell measures 4.1671, 4.1671 and 9.1355 Å, with angles of 90.00, 90.00 and 90.00 degrees. The asymmetric unit holds Ce at (0.2500, 0.2500, 0.2457), Ni at (0.2500, 0.2500, 0.6175), Ni at (0.2500, 0.7500, 0.0000), As at (0.2500, 0.2500, 0.8712) and As at (0.2500, 0.7500, 0.5000).

As for the density of states at the Fermi level: 0.909 states/eV per atom. The formation enthalpy at 0 K is -439 kJ/mol of formula units.

***

Entry from Alexandria via LeMat-Bulk: a PBEsol-optimized structure of CeAsO4 (meta-GGA SCAN).

The space group is P2_1/c (No. 14) and the conventional cell measures 6.7140, 7.1288 and 8.2982 Å, with angles of 90.00, 126.06 and 90.00 degrees. The asymmetric unit holds Ce at (0.1832, 0.1529, 0.2831), As at (0.3096, 0.6635, 0.1963), O at (0.1011, 0.6557, 0.6067), O at (0.1711, 0.0062, 0.7455), O at (0.3480, 0.6099, 0.0143) and O at (0.3904, 0.2143, 0.1161).

Its uncorrected formation energy is -245.0 kJ per mole of atoms.

***

Please write out number 1 again, unchanged.
Entry from Alexandria via LeMat-Bulk: a PBEsol-optimized structure of CeCo2As2 (meta-GGA SCAN).

The space group is I4/mmm (No. 139) and the conventional cell measures 3.9647, 3.9647 and 9.9812 Å, with angles of 90.00, 90.00 and 90.00 degrees. The asymmetric unit holds Ce at (0.0000, 0.0000, 0.0000), Co at (0.0000, 0.5000, 0.2500) and As at (0.0000, 0.0000, 0.3684).

As for the density of states at the Fermi level: 0.618 states/eV per atom. The formation enthalpy at 0 K is -370 kJ/mol of formula units.
-- stop --

Follow These 5 Credit Card Rules When Traveling Abroad

Travel is fun, and if you budget and plan well, it's affordable. Just don't let bad credit card habits eat up all your hard won savings.

Ask the Readers: How Do You Save on Your Phone Bill?

Tell us how you save on your phone bill and we'll enter you in a drawing to win a $20 Amazon Gift Card!

How to Clear Out Financial Clutter

Any kind of clutter can weigh you down, even financial clutter. So clear it out and get your finances back on track.

Weak Credit? You Can Still Get a Mortgage Despite Tough Lending Standards

Your credit score has seen better days, but that doesn't mean you can't get a mortgage. You have options!

The 5 Best Smart Locks

Smart locks offer convenient and safer options for keeping your home secure. Just use any of these smart locks and you won't need to worry about losing your keys ever again.

The 5 Best Deals in Every Thrift Store

Not all thrift stores are created equal — but if you look for these five things, you'll almost always find a good deal.

Avoid These 7 Things When Living With Roommates

It's not easy making the rent, and for many, roommates are unavoidable. Let's try to make this arrangement as painless as possible, shall we?

Best Kids Eat Free Restaurants

Knock dollars and cents off your tab by eating at one of these restaurants where kids score their meals for free.

20 Free and Fun Ways to Reward Yourself

Reaching goals is often its own reward, but when it isn't, go ahead, do something nice and frugal for yourself.

What to Know When Renting a Moving Truck

Moving is already stressful. When you add in renting a big ol' truck, it can become downright nail-biting. Here's what you should know for your DIY move.

How Parents Save Money at Costco

Raising kids isn’t cheap, but shopping at Costco can help parents cut costs on everything from infant formula to toys.

10 Reasons to Stop Buying Gas Station Food

Put down the Big Gulp and walk away. You're wasting money for the convenience — and who knows where that cup has been?!!

Are You Happy With Your Bank?

The American Customer Satisfaction Index tells us how citizens feel about their banks. But the most important question is, how do you feel about yours?